So, my idea is [un]symple. right now rodents are just vermin that dont do ANYTHING! I think that it should be verry important that you actually protect your fortress from thesae creatures of plague and fammin. What this propposes is that rodents(rats, mice) should have the abbility to dig "tunnels" in hidden rock and walls. here is a small immage where the hidden rock is visible:
the lines in the soil walls are tunnels.
the +, * and circled R are nests(smaller to large).
The arrow-lines indicate paths that the rodents might take to get to food.
Rodents would require a different pathing system that allows them to walk through tunnels.
Alternatively, every tunnerl would have a range of how far a rodent is allowed to stray until he can dissapear back into the tunnel.
every nest can be inside hidden blocks as long as it is x spaces away from the nearest enterance/nest and y spaces away from the nearest wall/nest.
Someone pasted records of crystals at this point =
┌──
TiV2HgO8: simulated PXRD pattern (Cu Kα X-rays), based on a structure optimized by DFT (PBE+U).

Main lines, by angle (2θ = 5–70°):
2θ = 14.34°, rel. 36, (0 0 1); 2θ = 18.04°, rel. 100, (1 0 0); 2θ = 23.12°, rel. 68, (0 1 1); 2θ = 31.52°, rel. 79, (1 1 0); 2θ = 34.28°, rel. 72, (1 0 2); 2θ = 34.78°, rel. 45, (1 1 1); 2θ = 43.29°, rel. 23, (1 1 2); 2θ = 47.25°, rel. 43, (2 0 2); 2θ = 51.34°, rel. 18, (1 2 1); 2θ = 57.91°, rel. 35, (2 1 2)

Structural model:
```
TiV2HgO8
1.0
5.677 0.000 0.000
-2.839 4.917 0.000
0.000 0.000 6.179
Ti V Hg O
1 2 1 8
Direct
0.000 0.000 0.000
0.333 0.667 0.722
0.667 0.333 0.278
0.000 0.000 0.500
0.159 0.319 0.808
0.159 0.841 0.808
0.319 0.159 0.192
0.333 0.667 0.457
0.667 0.333 0.543
0.681 0.841 0.808
0.841 0.159 0.192
0.841 0.681 0.192
```


Computed PXRD pattern of Na3Hg2Pd2 for a wavelength of 1.5418 Å, from DFT lattice parameters and positions (GGA-PBE).

Atomic structure:
a = 5.737 Å, b = 8.458 Å, c = 13.875 Å
α = 90.00°, β = 90.00°, γ = 90.00°
Space group Pbcm (No. 57)
One atom of each set of equivalent atoms:
Na  0.124  0.240  0.250 x4
Na  0.359  0.607  0.095 x8
Hg  0.171  0.250  0.000 x4
Hg  0.368  0.602  0.750 x4
Pd  0.127  0.535  0.587 x8

Main lines, in order of rising 2θ (2θ from 10° to 90°):
- 2θ 19.76, d = 4.492 Å, I = 94, (1 1 1)
- 2θ 20.08, d = 4.421 Å, I = 100, (1 0 2)
- 2θ 21.97, d = 4.045 Å, I = 49, (0 2 1)
- 2θ 22.69, d = 3.918 Å, I = 100, (1 1 2)
- 2θ 35.48, d = 2.530 Å, I = 71, (1 3 0)
- 2θ 38.43, d = 2.342 Å, I = 88, (2 1 3)

---

Computed PXRD pattern of SiHg4S6 for a wavelength of 1.5418 Å, from DFT lattice parameters and positions (GGA-PBE).

Atomic structure:
a = 12.637 Å, b = 7.261 Å, c = 12.652 Å
α = 90.00°, β = 110.23°, γ = 90.00°
Space group Cc (No. 9)
One atom of each set of equivalent atoms:
Si  0.000  0.229  0.000 x4
Hg  0.062  0.059  0.754 x4
Hg  0.228  0.403  0.248 x4
Hg  0.248  0.119  0.560 x4
Hg  0.432  0.191  0.908 x4
S  0.119  0.239  0.369 x4
S  0.179  0.240  0.052 x4
S  0.243  0.246  0.749 x4
S  0.430  0.234  0.321 x4
S  0.430  0.490  0.047 x4
S  0.452  0.031  0.574 x4

Main lines, in order of rising 2θ (2θ from 10° to 90°):
- 2θ 24.42, d = 3.645 Å, I = 86, (3 1 -1)
- 2θ 25.49, d = 3.495 Å, I = 96, (3 1 -2)
- 2θ 25.66, d = 3.472 Å, I = 100, (0 2 1)
- 2θ 28.61, d = 3.120 Å, I = 60, (2 0 -4)
- 2θ 28.87, d = 3.093 Å, I = 72, (1 1 3)
- 2θ 45.89, d = 1.977 Å, I = 59, (0 0 6)

---

Computed PXRD pattern of Rb2PdSCl6 for a wavelength of 1.5418 Å, from DFT lattice parameters and positions (GGA-PBE).

Atomic structure:
a = 7.557 Å, b = 7.557 Å, c = 9.094 Å
α = 90.00°, β = 90.00°, γ = 90.00°
Space group I4/mmm (No. 139)
One atom of each set of equivalent atoms:
Rb  0.000  0.500  0.250 x4
Pd  0.000  0.000  0.000 x2
S  0.000  0.000  0.500 x2
Cl  0.000  0.000  0.259 x4
Cl  0.228  0.228  0.000 x8

Main lines, in order of rising 2θ (2θ from 10° to 90°):
- 2θ 23.55, d = 3.778 Å, I = 57, (2 0 0)
- 2θ 25.73, d = 3.463 Å, I = 89, (1 1 2)
- 2θ 30.77, d = 2.906 Å, I = 56, (2 0 2)
└──
The records of crystals stop here =
nests would spread depending on how much food they have stolen. Otherwise, nests will spread by capturing lesser vermin or if in contact with rass/wild plants(by the tunnel openings). Thi means that infestations would not spread by themselves. It woudl amlost always be the players fault for not watching them.
Here is an immage that shows how the enterance distance would effect nest rgowth(in this immage, nests do not grow deeper into the hidden zone)
This would mean that rats and mice would be able to expand across corridors and empty halls. Cat antics would involve them sitting at the enterance of a rathole and waiting to catch the rodent(with possible chances.) Cats would finally have a use.
Also, rooms with tunnels in them would have a lowered value. this introduces a new profession: Ratcatchers. Other than vermin traps(whitch should not be fail proof) and cats, ratcatchers would be a noble of sorts that finds ratholes and exposes them. Before exposure, ratholes would be invisible and only if a dwarf saw a rat run in/out of the hole then the hole would be found. A ratcatcher would also have the abbility to "cover up" a rat hole wich is sort of like engraving. a covered up rat hole would not stay covered up. rats would chew through the wall after a period of time.
Heres a picture with several examples of how ratholes would expand:
the first row shows how, when nests grow in size(from small to medium or medium to large) they can expand by making another small nest somwhere withing their radius.
The second row shows several things that large ratholes can do when they can no longer expand. The first slide demonstrates that ratholes can make non-expanding nests next to them. Theses nests therefor make the large nest a maximum size and do not expand themselves. the second tile in the second row shows how, if two large nests have a tunnel between them, then they can spawn a storage area. This basically destroys the tile at wich it is located. The benefits of this are that it spreads the food range(the range of how far the nests can expand). They can appear only if ther are atleast two large nests connected. the botom row shows how nests can expand through multiple z levels(the 1 2 and 3 repreent the z level).
Rats and mice would also not only steal/eat(make it spoil REALY fast) foood every now and then but they would also gnawl on furniture and clothing every now and then(making it get a bit x`d or xx`d).
if a nest is dug out or a tile next to it is dug out then all the rats will spawn on the tile that had the nest.
I guess you could also get announcements like "kitten has gotten stuck in a mouse hole" or "kitten has dissapeared into a mouse hole" with the results varying.